Releasing Grief

WaterFigureI’ve had my fair share of grief over the years and when you have a real conversation with just about anyone, you realize they, too, have had theirs. We live on the surface so much of the time, nodding our heads hello and nice to see you, which is to be expected when we’re all surviving with our heads just above the surface.

I’ve learned that to release grief and move beyond it, you truly have to feel it. That can be scary. It can feel like you’re probably going to die. There are usually a lot of tears involved and sometimes kicking pillows or throwing rocks into the sea followed by deep, cavernous silences that go on forever and never reach the bottom of your soul, occasionally ticking the sides making an other-worldly clanging sound.

For me, now, it involves some kind of conversation with God. A lot of me telling Him why I’m feeling so sad and a lot of Him listening. What I love about my conversations with God is that he doesn’t try to just go and fix things. He listens. A lot. I feel Him there, empathizing with me. And that’s what I need. And after I’m all done going on and on, I listen to what He has to say. About 99% of the time, He just tells me He loves me and that I’m doing great.

I wrote an essay for Blogher this past week. It’s the first time I’ve really spoken about how devastating the end of my first marriage was. When your kids are young, you don’t want to add anything to the pain they themselves are experiencing. I tried never to speak ill of their father to them or around where they could hear. It was hard. There were some really rough years where things were very unfair and it would have felt great to unload on them. But even now I’m so glad I didn’t do that.

If I could add something here to the essay, it would be to caution those going through similar circumstances to consider how your children are feeling when you speak ill of their other parent. Remember, your kids are made of half of them.

Let’s Grow Through This Together

Processed with VSCOcam with c1 presetSometimes I feel like I learn new things right before I really need them. You know what I mean? Like, had this challenging thing that’s currently happening, happened even six months ago, I wouldn’t have been ready.

But God, or whatever you consider your Divine to be, creates this space for us to gather our knowledge and our wits about us right before the Big Test comes. If we’re paying attention. If we’re *at all* trying. And I’d wager that most of us *are* trying because we’ve been around the block a time or two and know that not paying attention doesn’t get us the desired result we’re after. Trying to be awake. Trying to be aware. Trying to pay attention. Trying to be a little bit better every day. Trying to serve and be present for those we love. Trying to make the world a slightly better place.

I’m watching my son grapple with being twenty and doing all the thought processes you go through at that age, wondering what to do with your life. Wondering what kind of person you are and who you want to be. Wondering how to participate in life in a way that’s meaningful. Trying to be Present. ALL the big questions.

And as we’ve talked and worked together this past month one theme keeps coming through: You do get to create the life you want to live. There are a vast number of ways to be a Person in Life.

Of course you look first to those closest to you to see who and how they are, like your siblings and parents. Of course you do, because they are your examples and who you have had the closest contact with in your life so far. And then maybe you look at the next familial circle, including aunts and uncles. And then hopefully you keep looking further out and find people in your friend circles and even further, historical figures, to find other examples of How To Be. You don’t *have* to be the same as anyone you know. It’s a choice to follow in someone’s footsteps.

Short of being a person that harms others, there isn’t a “wrong” way to be a Person.

We get so caught up in what it means to be successful and what constitutes a real job or a life worth living. Want to know what a Real Job is? I’ll tell you. A Real Job is anything that supports the life you want to live.

If it brings you immense happiness to live in an expensive loft and have three cars and arrange your days to be super busy without any breaks and travel a lot and be a VP or a CEO then do that. That’s one way to be a Person. And if it brings you immense happiness to live a quiet life with minimal needs and much more down time and many less people counting on you for paperwork or code or whatever, then be that. Just Be That Person.

There are no Real jobs and Not-Real jobs. There’s only what you want to create your life to be, and what you then do to support the lifestyle you’ve chosen. And also? It’s ok to change your mind and choose another path at any point. It doesn’t make everything you’ve done up until that moment a mistake. We gather knowledge and experience no matter what path we go down. You don’t have to know everything before you start. A good chunk of life is Winging It.

Take the lesson, leave the baggage, and move forward. Grow to the next thing. That, my friends, if Life.

There’s no one “Right” way to be a Person. The world is vast and the people are numerous and it takes all kinds to keep the world turning. Let go of the limiting beliefs you have about yourself and who you are *supposed* to be. Look inside, see who you are, and then be the best one of those you can possibly be.


Looking for a mentor for your own life process? I can help. Find out more here.

Random Piecings + My Basic Green Smoothie Recipe


Here’s some clouds from Southern Utah. You’re welcome. That place is incredibly beautiful. I mean:


I joke with Joe that we should go live there and by “joke” I mean “semi-serious” and by “semi-serious” I mean how about in two years or so. Poor Joe. JoeSunday I think part of my joke-not-joking is that we had such an incredible time doing the retreat there a few weeks ago. The entire event was just amazing. I really felt so, oh, I don’t know the right words, it was so big what I felt. But some good words are Useful and On Task and Meaningful and Just Right. And when you feel all the parts of something come together that you’ve been planning and you see how so many people feel great about it and get what they need from it, well….it’s just kind of amazing. I added this picture of Joe because why not.

You’ll have to excuse this stream of consciousnesses and pick through for the good parts due to the fact that I’ve got uncharacteristic pressure and pain in my ear regions and it makes for less than sharp conversation at times.

In my quest for Health & Wellness I make course corrections and try on new things. These New Things might be drastic or small. The course corrections might be just a tad one way or the other or a major right turn. But through it all I seem to have one question in my heart and that is this: Am I where I’m supposed to be, doing what I’m supposed to be doing and with whom I’m supposed to be doing it with? (I’m ever so sorry I ended that with a preposition but it couldn’t be helped.)

Processed with VSCOcam with m5 presetOne thing I feel I should be doing are the H&W Retreats and the whoms are my sister and our daughters. It’s beautiful when we’re all together and educating and helping people feel more and more well. It’s truly like magic and if I could do it every day the rest of my life I would.

In order to really be “in tune” to someone’s frequency and be in a place to help them the most, I don’t want to muck up my brain and body with chemicals because it can short-circuit our connection. To that end I’ve cut out alcohol and almost all caffeine. I’m down to one cup of decaf a day and I’ll tell you what, the nightly beers were much easier to give up than my morning coffee. I’m feeling a much larger reward than anything negative with this change, though, because I’m not experiencing my afternoon “dip” that I’ve had for so, so long and I’m sleeping better. So, there’s that.

Being more “in tune” means I can pick up on subtler messages that someone’s body/energy is giving off when we talk. There’s so much happening in between the lines and woven throughout the conversation happening with words. I consider it a privilege to be able to tune into those things and it makes it so much easier when I’m not riding a high from caffeine, when I’ve had a good night’s sleep and when I can fully feel my own stuff and not mistake it for someone else’s stuff.

Unrelated to this entry: data records:
____________
## Zr2N2O (PBE-GGA)

Data for an optimized crystal structure of Zr2N2O.

a b c (Å): 13.8049 3.3294 16.6463
angles (deg): 90.00 100.27 90.00
Space group Cm (No. 8)
One atom of each set of equivalent atoms:
Zr: 0.0000 0.0000 0.0000
Zr: 0.0016 0.0000 0.5034
Zr: 0.0602 0.0000 0.3084
Zr: 0.0682 0.0000 0.8094
Zr: 0.1597 0.5000 0.1419
Zr: 0.1665 0.5000 0.6437
Zr: 0.2230 0.5000 0.4678
Zr: 0.2288 0.5000 0.9724
Zr: 0.3333 0.0000 0.8360
Zr: 0.3364 0.0000 0.3397
Zr: 0.3957 0.0000 0.6662
Zr: 0.4009 0.0000 0.1678
N: 0.0635 0.5000 0.2318
N: 0.1572 0.0000 0.0478
N: 0.1579 0.0000 0.5414
N: 0.2028 0.0000 0.3832
N: 0.2026 0.0000 0.8904
N: 0.2303 0.0000 0.7179
N: 0.3592 0.5000 0.9195
N: 0.3595 0.5000 0.4230
N: 0.4028 0.5000 0.2603
N: 0.4089 0.5000 0.7588
N: 0.4959 0.0000 0.0745
N: 0.4978 0.0000 0.5806
O: 0.0306 0.5000 0.4043
O: 0.0335 0.5000 0.8985
O: 0.0622 0.5000 0.7341
O: 0.2408 0.0000 0.2121
O: 0.3170 0.5000 0.5954
O: 0.3223 0.5000 0.0941

Energy relative to the elements ... -2.123 eV/atom
Electronic total energy ... -9.7291 eV/atom


## Mg5Si9 (PBE-GGA)

Data for an optimized crystal structure of Mg5Si9.

a b c (Å): 6.7085 7.4898 12.0653
angles (deg): 84.00 82.32 63.54
Space group P1 (No. 1)
One atom of each set of equivalent atoms:
Mg: 0.0000 0.0000 0.0000
Mg: 0.0312 0.2235 0.2185
Mg: 0.1898 0.5503 0.1029
Mg: 0.2473 0.2411 0.5820
Mg: 0.4469 0.9627 0.3815
Mg: 0.4918 0.0002 0.0219
Mg: 0.6550 0.4599 0.6539
Mg: 0.7063 0.4813 0.0552
Mg: 0.8170 0.6791 0.8313
Mg: 0.9085 0.5700 0.4379
Si: 0.0105 0.2363 0.7924
Si: 0.0695 0.8746 0.3880
Si: 0.1211 0.3239 0.9540
Si: 0.1448 0.7213 0.6964
Si: 0.2534 0.5968 0.5165
Si: 0.3012 0.8215 0.2079
Si: 0.3158 0.9073 0.7504
Si: 0.3536 0.3342 0.2988
Si: 0.3642 0.4446 0.8435
Si: 0.3981 0.7104 0.9257
Si: 0.5856 0.4212 0.3951
Si: 0.5888 0.8575 0.5928
Si: 0.6478 0.1630 0.1583
Si: 0.6894 0.6331 0.2487
Si: 0.7090 0.1340 0.8236
Si: 0.8044 0.0106 0.6396
Si: 0.8871 0.8453 0.2357
Si: 0.9133 0.1846 0.4829

Excess energy over the best structure of this formula in the dataset ... 11 meV per atom
Energy relative to the elements ... 0.163 eV/atom
Electronic total energy ... -3.9423 eV/atom


## Nb5Pt3O (PBE-GGA)

Data for an optimized crystal structure of Nb5Pt3O.

a b c (Å): 8.0605 8.0605 5.0784
angles (deg): 90.00 90.00 120.00
Space group P6_3/mcm (No. 193)
One atom of each set of equivalent atoms:
Nb: 0.0000 0.2375 0.2500
Nb: 0.3333 0.6667 0.0000
Pt: 0.0000 0.4042 0.7500
O: 0.0000 0.0000 0.0000

Energy relative to the elements ... -0.911 eV/atom
Electronic total energy ... -9.0204 eV/atom


## Rb3SbBr6 (PBE-GGA)

Data for an optimized crystal structure of Rb3SbBr6.

a b c (Å): 12.1437 12.1437 12.1437
angles (deg): 90.00 90.00 90.00
Space group Fm-3m (No. 225)
One atom of each set of equivalent atoms:
Rb: 0.0000 0.0000 0.0000
Rb: 0.2500 0.2500 0.2500
Sb: 0.0000 0.0000 0.5000
Br: 0.0000 0.0000 0.2684

Energy relative to the elements ... -1.598 eV/atom
Electronic total energy ... -2.9664 eV/atom


## ZnHgC4Se4N4 (PBE-GGA)
____________

The pressure in my ears has come along with a rash on my neck that is Candida trying to drive me crazy dying off. Because I’m no longer drinking sugar every night (beer and wine) and that was my last main source of sugar, my host body is no longer as conducive to Candida and the yeast is mad. Really, really mad. The rash is itchy and red and looks terrible but I just keep rubbing coconut oil on my feet and encouraging it to get out, get out and keep on going. I upped my water and increased support of my liver. I upped my supplements and fermented foods. I send loving thoughts to my ears and my neck for doing such a great job with this process and then I drink another glass of herbal tea because that’s what I’ve got right now and it’s not that bad.

I wasn’t expecting Candida to burst out of my neck or stack up in my ears and it’s a constant reminder these days to keep an eye on what I’m eating, keep the sugar-foods low, add in more green smoothies and other things Candida doesn’t like.

Here’s my basic Green Smoothie recipe. It makes one really large glass of smoothie plus just enough extra that you’re irritated and don’t know what to do with it so you just stick it in the fridge and forget about the 1″ of old green smoothie and then it goes bad so you dump it and do it all over again. Just kidding. I totally don’t do that. I ask Joe to drink it and sometimes he even does.

1 Kale leaf, stripped off rib
1/2 avocado
1/2 cup probiotic yogurt
1/4 cup coconut milk
2 TBL soaked or sprouted sunflower seeds
Handful of frozen blueberries
Half a frozen banana
2 tsp Spirulina
Enough filtered water to make the right consistency

The banana and blueberries contain all the sugar I can handle right now but if you need some more sweetener, go ahead and add a little raw honey, raw maple syrup or un-sulfered molasses. (There’s a recipe kind of like this in my book.) Sometimes I add sprouted lentils.

I don’t have a great ending for this post (EAR PRESSURE) but I’ll leave you with a thought I keep having. What if we were all doing exactly what we were supposed to be doing, where we were supposed to be doing it, and with the people we were supposed to be doing it with? And what if we did that all the time? I think it would be incredible.

One more of the clouds in Southern Utah because I can’t even.


Birthday Blue Orchids

Turning 43 has just helped reinforce what I felt when I turned 42 – I’m so happy in my 40s. I love it here! My brain works well, my physical body has never been healthier and I no longer worry so much about what other people think about me. That has been a long time coming.


For my birthday this year, my daughter, her fiance, my son and my husband all put on a game night in my building’s rec center. Some of my friends and extended family showed up and we hung out and played games. It was completely low-key and perfect. I may have made about 10-gallons of Mac-and-Cheese for everyone.


Alex picked these blue orchids for some of the table decorations. I can’t stop staring at them. There is something very silky and sultry and full of passion about them.

They are totally and uniquely themselves. They embrace their variations of vibrant color and show it off with pride. And in the recesses, way in the centers, you can see the deep, still wisdom that lies there.

I suppose that’s what I’m going to be aspiring to this year.

And Then There’s These Two…

Devon and Lacey in Gone With the Wind. Or Engagement Photos. Same diff. I love this photo of them. The sky was crazy that day and the air was all kinds of pretty colors. I blew the saturation up and outta there and the contrast is insane. Just the way I like it.